_Activity_
Could you find "-1.7 -2.6" and "**Multiplicity**:" in the data further down, and print these two lines and those between?
_Material_
~~~
[1]
Below is C9H24NO16S3V2 as an isolated structure, with properties calculated with ωB97M-V with the def2-TZVPD basis set.

XYZ file:
```
55
Properties=species:S:1:pos:R:3:forces:R:3
O -7.869377 -2.549295 -1.253325 3.5 2.4 1.5
V -6.554366 -1.666338 -0.823566 -2.9 -2.3 -2.3
O -6.804721 -1.001207 0.523765 -0.3 0.1 0.6
O -0.219118 -6.710343 0.471547 -0.7 1.5 1.7
V -0.671895 -5.485011 1.357692 0.7 -1.8 1.7
O -0.753502 -5.887718 2.913732 0.2 0.5 -3.5
N -0.774861 -0.682892 -2.329905 -0.9 -2.4 1.1
O -1.955521 -0.585613 -2.173469 -5.8 -0.9 1.6
O -0.277141 0.208536 -2.842536 4.8 5.7 -3.5
O -0.180811 -1.673997 -1.980623 1.5 -2.8 1.2
O 1.382775 1.076873 5.962049 0.1 -2.4 -1.4
S 1.478409 -0.350505 5.614490 -0.4 -0.9 1.3
O 0.706835 -0.965955 4.503275 2.2 1.6 2.1
O 3.093672 -0.799896 5.585784 -2.1 -0.3 -1.1
C 4.088781 0.178771 5.820975 0.1 2.0 1.7
C 4.088497 0.578640 7.327339 0.5 -1.1 -0.4
C 1.090675 -1.321994 7.181041 0.5 1.7 -0.3
H 3.884052 1.092457 5.262977 0.0 -0.2 -0.4
H 5.072005 -0.209835 5.555711 -0.4 -0.3 -0.3
H 3.075616 0.734416 7.698705 0.2 0.5 -0.1
H 4.765311 1.407406 7.535159 -0.3 0.2 -0.2
H 4.502471 -0.258572 7.889291 0.0 -0.2 0.1
H 1.873945 -2.037973 7.429982 -0.5 -0.6 -0.8
H 0.036746 -1.599574 7.197518 0.3 -0.4 -0.2
H 1.262937 -0.588041 7.968283 -0.3 0.3 -0.1
O -4.353557 -3.982023 -6.477568 1.8 -0.3 -2.0
S -3.303101 -4.015171 -7.521042 -0.2 0.5 -0.1
O -2.688365 -2.733557 -7.930988 -1.0 -3.3 1.0
O -2.158779 -5.125995 -7.076778 -1.2 3.6 0.2
C -2.649682 -6.344269 -6.570998 2.2 -2.2 -1.6
C -1.988865 -7.317713 -7.591296 -0.9 -2.1 1.2
C -3.885558 -4.960522 -9.058513 -0.1 1.4 1.7
H -3.724795 -6.520945 -6.539451 0.0 0.6 -0.1
H -2.205787 -6.549571 -5.596881 -0.2 0.4 0.2
H -2.526007 -7.406368 -8.535603 0.1 0.3 0.0
H -2.067090 -8.301507 -7.128545 -0.5 -0.5 -0.1
H -0.911582 -7.348122 -7.754580 0.0 1.3 0.1
H -4.626850 -4.242030 -9.408320 0.0 -0.3 -0.6
H -4.355558 -5.893509 -8.747513 0.0 0.2 0.1
H -3.040838 -5.148365 -9.721283 -0.1 0.4 0.1
O 0.372316 8.244685 0.819190 2.3 -2.2 -1.1
S 1.301945 7.124837 0.497542 -0.5 1.3 0.1
O 1.673329 6.724676 -0.853760 -0.6 0.9 2.0
O 2.760532 7.388650 1.307397 -3.1 -1.7 -2.6
C 2.749612 8.300750 2.369029 -0.8 0.0 1.1
C 3.487517 9.490357 1.879179 0.7 0.9 1.2
C 0.606218 5.715267 1.362591 0.8 -0.5 -0.1
H 3.037566 7.652452 3.196606 0.9 0.8 0.4
H 1.786728 8.717372 2.664661 -0.6 -0.7 -0.3
H 4.226715 9.185455 1.138416 0.0 0.5 0.1
H 3.921996 9.997390 2.740713 0.6 0.0 -0.1
H 2.741269 10.213115 1.549264 0.3 -0.1 -0.8
H 1.117228 4.802791 1.055433 0.3 0.2 0.0
H -0.441293 5.541143 1.116648 0.0 0.7 0.1
H 0.803326 5.888387 2.420560 -0.4 0.0 0.0
```
Forces are in eV/Å.

**Energy**: -4697.5897 hartree
**Net charge**: +1
**Multiplicity**: 1

Atomic charges from the Löwdin analysis, expressed in e, are listed below:
1. O -0.261
2. V 1.260
3. O -0.206
4. O -0.226
5. V 1.268
6. O -0.246
7. N -0.756
8. O 0.012
9. O 0.134
10. O 0.020
11. O -0.310
12. S 0.730
13. O -0.336
14. O -0.283
15. C -0.263
16. C -0.067
17. C -0.091
18. H 0.110
19. H 0.124
20. H 0.050
21. H 0.083
22. H 0.074
23. H 0.067
24. H 0.063
25. H 0.049
26. O -0.336
27. S 0.712
28. O -0.296
29. O -0.290
30. C -0.278
31. C -0.075
32. C -0.081
33. H 0.115
34. H 0.117
35. H 0.066
36. H 0.069
37. H 0.085
38. H 0.062
39. H 0.055
40. H 0.075
41. O -0.325
42. S 0.708
43. O -0.292
44. O -0.262
45. C -0.344
46. C -0.065
47. C -0.126
48. H 0.125
49. H 0.109
50. H 0.093
51. H 0.082
52. H 0.087
53. H 0.068
54. H 0.073
55. H 0.067

[2]
Below is a 3-piece molecular cluster, C31H30BrF16N3O2 overall, with properties calculated with ωB97M-V with the def2-TZVPD basis set.

XYZ file:
```
83
Properties=species:S:1:pos:R:3:forces:R:3
H -0.789529 -5.200630 -1.651408 0.0 -0.1 0.0
N -1.078017 -4.772974 -0.773223 -0.1 -0.2 -0.2
C -0.089681 -4.261580 -0.178288 -0.3 -0.2 0.1
C -0.314764 -3.548570 1.142994 -0.3 0.6 -0.9
C -1.604897 -2.749242 1.048242 -0.2 0.2 0.2
C -1.605165 -1.634235 0.252193 0.2 -0.1 0.1
C -2.753147 -0.840920 0.058385 0.7 -0.2 0.0
~~~
_Reply_
O 2.760532 7.388650 1.307397 -3.1 -1.7 -2.6
C 2.749612 8.300750 2.369029 -0.8 0.0 1.1
C 3.487517 9.490357 1.879179 0.7 0.9 1.2
C 0.606218 5.715267 1.362591 0.8 -0.5 -0.1
H 3.037566 7.652452 3.196606 0.9 0.8 0.4
H 1.786728 8.717372 2.664661 -0.6 -0.7 -0.3
H 4.226715 9.185455 1.138416 0.0 0.5 0.1
H 3.921996 9.997390 2.740713 0.6 0.0 -0.1
H 2.741269 10.213115 1.549264 0.3 -0.1 -0.8
H 1.117228 4.802791 1.055433 0.3 0.2 0.0
H -0.441293 5.541143 1.116648 0.0 0.7 0.1
H 0.803326 5.888387 2.420560 -0.4 0.0 0.0
```
Forces are in eV/Å.

**Energy**: -4697.5897 hartree
**Net charge**: +1
**Multiplicity**: 1